What to do:
Your job: copy the whole of the contents below without altering anything.
Excerpt:
____________
(1)
# C33H39BN4O2P2Sn

A structure of composition C33H39BN4O2P2Sn (ωB97M-V/def2-TZVPD, OMol25).

HOMO level   -8.16 eV
Gap between HOMO and LUMO   6.87 eV

Atoms and positions in Å:
H -3.7635 -4.0511 -0.1854
N 1.9281 -1.1510 -2.2347
C -1.5518 -3.2942 0.5177
H 0.5802 -2.0622 -0.8215
H -4.7031 -1.4757 -1.0987
H 0.7743 5.2716 0.2807
C 2.6951 1.4803 -1.9792
H 1.7844 7.3462 -1.2271
H -1.3835 -4.7043 2.1706
H 7.7976 -0.1728 -1.4402
C 0.3990 -0.4694 5.6533
H -0.0762 3.3424 2.4728
H -0.5911 2.1328 1.1290
N 4.4892 -0.5736 -1.5351
C 0.9452 5.3380 -0.7880
C -3.2895 -3.7697 2.3362
H -0.6907 1.9485 -3.9357
B 1.0354 -0.0326 3.5496
H 0.5928 -2.0077 -5.1808
C 5.6520 -0.0856 -0.8985
H 0.9084 0.1312 7.6205
H -3.0566 -0.1062 0.0094
H -3.1353 2.7723 -4.6313
H -5.0533 -4.6986 1.7728
C 1.4498 6.3702 -1.5783
H 0.6816 0.7595 -2.4316
C -3.4224 3.0881 -2.4073
C -1.4618 2.3267 -3.2706
C -4.6254 -3.6796 1.6979
C -3.0376 -1.2075 0.0891
H 2.6586 -0.5418 -4.2039
C -0.0593 2.2977 2.0983
N -1.2958 2.4310 -1.8862
H -0.8081 -2.9074 -3.0268
C -1.1694 -2.2718 5.3248
O 0.0792 -1.1023 3.5186
H 5.5660 0.4625 0.0339
H 3.2800 1.4079 -2.9200
Sn 1.9377 1.3783 1.8629
C 0.8295 -1.8228 -4.1379
H -5.3735 -3.1132 2.2786
C 1.4423 5.9026 -2.9393
C -0.3203 -1.3158 4.8133
H -0.4803 -3.5531 0.4069
C 1.9073 -1.0821 -3.6402
H -0.5184 -1.6957 8.6260
H -2.6109 3.0936 -0.3050
C 0.0963 -2.3073 -3.0074
H -1.9974 -3.5274 -0.4515
C -1.7435 -1.7520 0.6995
H 1.8058 6.4410 -3.8167
N 0.6480 4.2368 -1.6060
C 0.3113 -0.5557 7.0210
P 2.8542 -0.0512 -0.9602
H -4.4363 3.4646 -2.2877
H 3.1249 2.3263 -1.4155
C -2.5086 2.9267 -1.3695
H -1.6131 -1.5846 1.7787
C 6.7611 -0.4080 -1.6696
H 4.1926 -1.7181 -3.3607
H -1.7930 -3.2323 7.1353
C -2.1167 -4.0363 1.6962
H -5.4377 -3.5709 -0.3411
O 1.2588 0.2986 4.9299
C 4.9042 -1.2302 -2.7026
H 1.1633 2.2017 -3.2791
H 0.7162 3.9657 -3.7765
H 6.8980 -1.5201 -3.6287
C 0.7854 -1.8796 -1.8669
H -3.3277 -3.6072 3.4200
C -2.7485 2.7255 -3.6178
C 6.2884 -1.1345 -2.8158
H -0.8707 -1.1836 0.3475
H -1.7487 -2.8891 4.6482
C 0.9034 4.6205 -2.9294
C 1.2025 1.7092 -2.2956
P 0.2975 2.5661 -0.9725
C -4.0890 -1.9346 -0.3155
H -0.5722 1.6628 2.8281
C -4.4954 -3.3194 0.1625
C -1.1827 -2.4439 6.7124
C -0.4665 -1.5933 7.5468

Forces on atoms 1 to 2 (eV/Å):
-0.30 -0.13 -0.19
-0.33 0.51 0.54

Atom charges from the Löwdin analysis, given in e for atoms 1 to 2:
1 H 0.086
2 N -0.228

(2)
# C26H39ClN3O4Sc

A structure of composition C26H39ClN3O4Sc (ωB97M-V/def2-TZVPD, OMol25).

HOMO level (alpha / beta)   -5.48 / -5.48 eV
Gap between HOMO and LUMO (alpha / beta)   5.68 / 5.68 eV

Atoms and positions in Å:
H 3.0760 3.4164 1.5632
H 3.4498 -2.6068 2.3743
N -0.8037 -1.0542 2.8868
H -1.6520 0.8338 2.6830
C -0.4938 -0.6701 -2.6442
H 2.2559 -0.5164 1.8201
H -0.6454 -1.1539 -4.7206
H -0.1556 0.5005 -4.3664
H -4.0625 4.9100 0.4745
C -1.6899 -4.3941 -0.2713
H -2.7379 -1.4564 2.3283
O -0.5644 2.7205 -0.1919
O 0.0096 0.6039 1.4999
H -2.0897 0.9796 -3.2239
C 4.1106 3.3458 1.2017
C -0.8266 0.1848 2.3130
N -2.1163 4.1841 0.5249
H -0.8175 -1.6986 -2.5174
C 3.4070 1.4436 -0.0477
C -3.3617 4.4941 1.2026
C 1.5597 -1.2330 -0.0819
H -2.3123 1.7999 -1.6904
C -2.7842 -0.8237 -0.4045
H -0.7463 -2.5534 0.5492
C -3.4683 -3.9857 -1.9567
H 4.3402 4.2338 0.6101
C -1.5027 -3.0010 -0.1299
H -3.8626 -1.9386 -2.3485
H -4.2413 -4.3694 -2.6319
C 2.8572 -3.6455 0.5769
H 1.0051 -0.7692 -4.1944
H -2.1652 2.1774 1.0380
H 5.9702 2.5547 -0.8262
H 3.3749 -4.5747 0.8228
C 5.6837 1.8088 -0.0828
C -2.3932 -2.1532 -0.8099
C -1.6101 2.9561 0.4893
N 4.3905 2.1533 0.3942
C -1.9994 -1.8613 3.0177
C 0.3695 -1.4569 3.6559
H 1.0660 -0.6059 3.7425
Cl 1.9410 1.7753 -2.7223
H 3.5385 0.5866 -0.7507
Sc 0.8839 1.2179 -0.7220
H 4.7838 3.3082 2.0513
C -1.4902 5.2518 -0.2664
H -2.3528 -1.8371 4.0483
H -3.1720 5.2323 1.9849
O 2.2804 1.8798 0.4135
H -3.7579 3.5766 1.6373
H 5.5870 0.8165 -0.5395
C -1.5777 1.4257 -2.3793
C -3.2637 -2.6363 -1.7952
H -1.7679 -2.8834 2.7185
H -1.0106 2.2717 -2.6890
O -3.0239 -0.4686 0.7140
C 2.8990 -2.5392 1.4321
____________
Completed:
(1)
# C33H39BN4O2P2Sn

A structure of composition C33H39BN4O2P2Sn (ωB97M-V/def2-TZVPD, OMol25).

HOMO level   -8.16 eV
Gap between HOMO and LUMO   6.87 eV

Atoms and positions in Å:
H -3.7635 -4.0511 -0.1854
N 1.9281 -1.1510 -2.2347
C -1.5518 -3.2942 0.5177
H 0.5802 -2.0622 -0.8215
H -4.7031 -1.4757 -1.0987
H 0.7743 5.2716 0.2807
C 2.6951 1.4803 -1.9792
H 1.7844 7.3462 -1.2271
H -1.3835 -4.7043 2.1706
H 7.7976 -0.1728 -1.4402
C 0.3990 -0.4694 5.6533
H -0.0762 3.3424 2.4728
H -0.5911 2.1328 1.1290
N 4.4892 -0.5736 -1.5351
C 0.9452 5.3380 -0.7880
C -3.2895 -3.7697 2.3362
H -0.6907 1.9485 -3.9357
B 1.0354 -0.0326 3.5496
H 0.5928 -2.0077 -5.1808
C 5.6520 -0.0856 -0.8985
H 0.9084 0.1312 7.6205
H -3.0566 -0.1062 0.0094
H -3.1353 2.7723 -4.6313
H -5.0533 -4.6986 1.7728
C 1.4498 6.3702 -1.5783
H 0.6816 0.7595 -2.4316
C -3.4224 3.0881 -2.4073
C -1.4618 2.3267 -3.2706
C -4.6254 -3.6796 1.6979
C -3.0376 -1.2075 0.0891
H 2.6586 -0.5418 -4.2039
C -0.0593 2.2977 2.0983
N -1.2958 2.4310 -1.8862
H -0.8081 -2.9074 -3.0268
C -1.1694 -2.2718 5.3248
O 0.0792 -1.1023 3.5186
H 5.5660 0.4625 0.0339
H 3.2800 1.4079 -2.9200
Sn 1.9377 1.3783 1.8629
C 0.8295 -1.8228 -4.1379
H -5.3735 -3.1132 2.2786
C 1.4423 5.9026 -2.9393
C -0.3203 -1.3158 4.8133
H -0.4803 -3.5531 0.4069
C 1.9073 -1.0821 -3.6402
H -0.5184 -1.6957 8.6260
H -2.6109 3.0936 -0.3050
C 0.0963 -2.3073 -3.0074
H -1.9974 -3.5274 -0.4515
C -1.7435 -1.7520 0.6995
H 1.8058 6.4410 -3.8167
N 0.6480 4.2368 -1.6060
C 0.3113 -0.5557 7.0210
P 2.8542 -0.0512 -0.9602
H -4.4363 3.4646 -2.2877
H 3.1249 2.3263 -1.4155
C -2.5086 2.9267 -1.3695
H -1.6131 -1.5846 1.7787
C 6.7611 -0.4080 -1.6696
H 4.1926 -1.7181 -3.3607
H -1.7930 -3.2323 7.1353
C -2.1167 -4.0363 1.6962
H -5.4377 -3.5709 -0.3411
O 1.2588 0.2986 4.9299
C 4.9042 -1.2302 -2.7026
H 1.1633 2.2017 -3.2791
H 0.7162 3.9657 -3.7765
H 6.8980 -1.5201 -3.6287
C 0.7854 -1.8796 -1.8669
H -3.3277 -3.6072 3.4200
C -2.7485 2.7255 -3.6178
C 6.2884 -1.1345 -2.8158
H -0.8707 -1.1836 0.3475
H -1.7487 -2.8891 4.6482
C 0.9034 4.6205 -2.9294
C 1.2025 1.7092 -2.2956
P 0.2975 2.5661 -0.9725
C -4.0890 -1.9346 -0.3155
H -0.5722 1.6628 2.8281
C -4.4954 -3.3194 0.1625
C -1.1827 -2.4439 6.7124
C -0.4665 -1.5933 7.5468

Forces on atoms 1 to 2 (eV/Å):
-0.30 -0.13 -0.19
-0.33 0.51 0.54

Atom charges from the Löwdin analysis, given in e for atoms 1 to 2:
1 H 0.086
2 N -0.228

(2)
# C26H39ClN3O4Sc

A structure of composition C26H39ClN3O4Sc (ωB97M-V/def2-TZVPD, OMol25).

HOMO level (alpha / beta)   -5.48 / -5.48 eV
Gap between HOMO and LUMO (alpha / beta)   5.68 / 5.68 eV

Atoms and positions in Å:
H 3.0760 3.4164 1.5632
H 3.4498 -2.6068 2.3743
N -0.8037 -1.0542 2.8868
H -1.6520 0.8338 2.6830
C -0.4938 -0.6701 -2.6442
H 2.2559 -0.5164 1.8201
H -0.6454 -1.1539 -4.7206
H -0.1556 0.5005 -4.3664
H -4.0625 4.9100 0.4745
C -1.6899 -4.3941 -0.2713
H -2.7379 -1.4564 2.3283
O -0.5644 2.7205 -0.1919
O 0.0096 0.6039 1.4999
H -2.0897 0.9796 -3.2239
C 4.1106 3.3458 1.2017
C -0.8266 0.1848 2.3130
N -2.1163 4.1841 0.5249
H -0.8175 -1.6986 -2.5174
C 3.4070 1.4436 -0.0477
C -3.3617 4.4941 1.2026
C 1.5597 -1.2330 -0.0819
H -2.3123 1.7999 -1.6904
C -2.7842 -0.8237 -0.4045
H -0.7463 -2.5534 0.5492
C -3.4683 -3.9857 -1.9567
H 4.3402 4.2338 0.6101
C -1.5027 -3.0010 -0.1299
H -3.8626 -1.9386 -2.3485
H -4.2413 -4.3694 -2.6319
C 2.8572 -3.6455 0.5769
H 1.0051 -0.7692 -4.1944
H -2.1652 2.1774 1.0380
H 5.9702 2.5547 -0.8262
H 3.3749 -4.5747 0.8228
C 5.6837 1.8088 -0.0828
C -2.3932 -2.1532 -0.8099
C -1.6101 2.9561 0.4893
N 4.3905 2.1533 0.3942
C -1.9994 -1.8613 3.0177
C 0.3695 -1.4569 3.6559
H 1.0660 -0.6059 3.7425
Cl 1.9410 1.7753 -2.7223
H 3.5385 0.5866 -0.7507
Sc 0.8839 1.2179 -0.7220
H 4.7838 3.3082 2.0513
C -1.4902 5.2518 -0.2664
H -2.3528 -1.8371 4.0483
H -3.1720 5.2323 1.9849
O 2.2804 1.8798 0.4135
H -3.7579 3.5766 1.6373
H 5.5870 0.8165 -0.5395
C -1.5777 1.4257 -2.3793
C -3.2637 -2.6363 -1.7952
H -1.7679 -2.8834 2.7185
H -1.0106 2.2717 -2.6890
O -3.0239 -0.4686 0.7140
C 2.8990 -2.5392 1.4321